convert usage of fail* to assert*
[python.git] / Lib / test /
1 import httplib
2 import StringIO
3 import socket
5 from unittest import TestCase
7 from test import test_support
9 HOST = test_support.HOST
11 class FakeSocket:
12 def __init__(self, text, fileclass=StringIO.StringIO):
13 self.text = text
14 self.fileclass = fileclass
15 = ''
17 def sendall(self, data):
18 += data
20 def makefile(self, mode, bufsize=None):
21 if mode != 'r' and mode != 'rb':
22 raise httplib.UnimplementedFileMode()
23 return self.fileclass(self.text)
25 class NoEOFStringIO(StringIO.StringIO):
26 """Like StringIO, but raises AssertionError on EOF.
28 This is used below to test that httplib doesn't try to read
29 more from the underlying file than it should.
30 """
31 def read(self, n=-1):
32 data =, n)
33 if data == '':
34 raise AssertionError('caller tried to read past EOF')
35 return data
37 def readline(self, length=None):
38 data = StringIO.StringIO.readline(self, length)
39 if data == '':
40 raise AssertionError('caller tried to read past EOF')
41 return data
44 class HeaderTests(TestCase):
45 def test_auto_headers(self):
46 # Some headers are added automatically, but should not be added by
47 # .request() if they are explicitly set.
49 import httplib
51 class HeaderCountingBuffer(list):
52 def __init__(self):
53 self.count = {}
54 def append(self, item):
55 kv = item.split(':')
56 if len(kv) > 1:
57 # item is a 'Key: Value' header string
58 lcKey = kv[0].lower()
59 self.count.setdefault(lcKey, 0)
60 self.count[lcKey] += 1
61 list.append(self, item)
63 for explicit_header in True, False:
64 for header in 'Content-length', 'Host', 'Accept-encoding':
65 conn = httplib.HTTPConnection('')
66 conn.sock = FakeSocket('blahblahblah')
67 conn._buffer = HeaderCountingBuffer()
69 body = 'spamspamspam'
70 headers = {}
71 if explicit_header:
72 headers[header] = str(len(body))
73 conn.request('POST', '/', body, headers)
74 self.assertEqual(conn._buffer.count[header.lower()], 1)
76 class BasicTest(TestCase):
77 def test_status_lines(self):
78 # Test HTTP status lines
80 body = "HTTP/1.1 200 Ok\r\n\r\nText"
81 sock = FakeSocket(body)
82 resp = httplib.HTTPResponse(sock)
83 resp.begin()
84 self.assertEqual(, 'Text')
85 self.assertTrue(resp.isclosed())
87 body = "HTTP/1.1 400.100 Not Ok\r\n\r\nText"
88 sock = FakeSocket(body)
89 resp = httplib.HTTPResponse(sock)
90 self.assertRaises(httplib.BadStatusLine, resp.begin)
92 def test_partial_reads(self):
93 # if we have a lenght, the system knows when to close itself
94 # same behaviour than when we read the whole thing with read()
95 body = "HTTP/1.1 200 Ok\r\nContent-Length: 4\r\n\r\nText"
96 sock = FakeSocket(body)
97 resp = httplib.HTTPResponse(sock)
98 resp.begin()
99 self.assertEqual(, 'Te')
100 self.assertFalse(resp.isclosed())
101 self.assertEqual(, 'xt')
102 self.assertTrue(resp.isclosed())
104 def test_host_port(self):
105 # Check invalid host_port
107 for hp in ("", ""):
108 self.assertRaises(httplib.InvalidURL, httplib.HTTP, hp)
110 for hp, h, p in (("[fe80::207:e9ff:fe9b]:8000", "fe80::207:e9ff:fe9b",
111 8000),
112 ("", "", 80),
113 ("", "", 80),
114 ("[fe80::207:e9ff:fe9b]", "fe80::207:e9ff:fe9b", 80)):
115 http = httplib.HTTP(hp)
116 c = http._conn
117 if h !=
118"Host incorrectly parsed: %s != %s" % (h,
119 if p != c.port:
120"Port incorrectly parsed: %s != %s" % (p,
122 def test_response_headers(self):
123 # test response with multiple message headers with the same field name.
124 text = ('HTTP/1.1 200 OK\r\n'
125 'Set-Cookie: Customer="WILE_E_COYOTE";'
126 ' Version="1"; Path="/acme"\r\n'
127 'Set-Cookie: Part_Number="Rocket_Launcher_0001"; Version="1";'
128 ' Path="/acme"\r\n'
129 '\r\n'
130 'No body\r\n')
131 hdr = ('Customer="WILE_E_COYOTE"; Version="1"; Path="/acme"'
132 ', '
133 'Part_Number="Rocket_Launcher_0001"; Version="1"; Path="/acme"')
134 s = FakeSocket(text)
135 r = httplib.HTTPResponse(s)
136 r.begin()
137 cookies = r.getheader("Set-Cookie")
138 if cookies != hdr:
139"multiple headers not combined properly")
141 def test_read_head(self):
142 # Test that the library doesn't attempt to read any data
143 # from a HEAD request. (Tickles SF bug #622042.)
144 sock = FakeSocket(
145 'HTTP/1.1 200 OK\r\n'
146 'Content-Length: 14432\r\n'
147 '\r\n',
148 NoEOFStringIO)
149 resp = httplib.HTTPResponse(sock, method="HEAD")
150 resp.begin()
151 if != "":
152"Did not expect response from HEAD request")
154 def test_send_file(self):
155 expected = 'GET /foo HTTP/1.1\r\nHost:\r\n' \
156 'Accept-Encoding: identity\r\nContent-Length:'
158 body = open(__file__, 'rb')
159 conn = httplib.HTTPConnection('')
160 sock = FakeSocket(body)
161 conn.sock = sock
162 conn.request('GET', '/foo', body)
163 self.assertTrue(
165 def test_chunked(self):
166 chunked_start = (
167 'HTTP/1.1 200 OK\r\n'
168 'Transfer-Encoding: chunked\r\n\r\n'
169 'a\r\n'
170 'hello worl\r\n'
171 '1\r\n'
172 'd\r\n'
174 sock = FakeSocket(chunked_start + '0\r\n')
175 resp = httplib.HTTPResponse(sock, method="GET")
176 resp.begin()
177 self.assertEquals(, 'hello world')
178 resp.close()
180 for x in ('', 'foo\r\n'):
181 sock = FakeSocket(chunked_start + x)
182 resp = httplib.HTTPResponse(sock, method="GET")
183 resp.begin()
184 try:
186 except httplib.IncompleteRead, i:
187 self.assertEquals(i.partial, 'hello world')
188 self.assertEqual(repr(i),'IncompleteRead(11 bytes read)')
189 self.assertEqual(str(i),'IncompleteRead(11 bytes read)')
190 else:
191'IncompleteRead expected')
192 finally:
193 resp.close()
195 def test_negative_content_length(self):
196 sock = FakeSocket('HTTP/1.1 200 OK\r\n'
197 'Content-Length: -1\r\n\r\nHello\r\n')
********
(1)
Compound: Fe3C10SeO10
Source: the Materials Project
Functional: PBE+U
Structure: optimized geometry

a = 10.3445 Å, b = 8.8805 Å, c = 17.7399 Å
α = 67.65°, β = 90.00°, γ = 90.00°
Fractional coordinates of all 96 atoms:
C 0.9131 0.6912 0.9783
Fe 0.1780 0.4073 0.3331
O 0.4832 0.6824 0.4562
Se 0.4292 0.1943 0.9373
C 0.2063 0.1546 0.5886
C 0.2890 0.9426 0.4987
Fe 0.8220 0.5927 0.6669
O 0.1982 0.8326 0.0599
C 0.8529 0.6506 0.7510
O 0.3446 0.5958 0.9904
O 0.1279 0.3176 0.1924
C 0.6811 0.0099 0.1477
O 0.5132 0.0465 0.3341
C 0.1471 0.3494 0.2490
C 0.0830 0.0693 0.8608
O 0.0529 0.3909 0.6743
C 0.8070 0.5251 0.5123
O 0.6982 0.1674 0.4401
O 0.6279 0.6824 0.3076
C 0.7937 0.8454 0.4114
C 0.5830 0.9307 0.6392
O 0.0168 0.6824 0.9562
O 0.9471 0.6091 0.3257
C 0.6930 0.5251 0.0123
C 0.2110 0.9426 0.9987
O 0.8018 0.1674 0.9401
O 0.3018 0.8326 0.5599
C 0.6461 0.6719 0.6193
C 0.4623 0.5298 0.8300
O 0.6283 0.0894 0.1766
C 0.4170 0.0693 0.3608
O 0.5376 0.6248 0.6402
C 0.2937 0.1546 0.0886
O 0.8721 0.6824 0.8076
C 0.7110 0.0574 0.5013
O 0.1759 0.0730 0.6542
O 0.4624 0.3752 0.3598
O 0.9868 0.0465 0.8341
O 0.1715 0.6977 0.7366
Fe 0.2463 0.2879 0.9876
C 0.5869 0.6912 0.4783
Fe 0.7664 0.8972 0.0983
C 0.7890 0.0574 0.0013
O 0.3241 0.0730 0.1542
O 0.8717 0.0894 0.6766
C 0.3539 0.3281 0.3807
O 0.0132 0.9535 0.1659
O 0.4868 0.9535 0.6659
C 0.1461 0.3281 0.8807
C 0.1811 0.9901 0.3523
O 0.5168 0.3176 0.5438
Fe 0.3220 0.4073 0.8331
O 0.9832 0.3176 0.0438
C 0.9623 0.4702 0.6700
O 0.5529 0.6091 0.8257
Fe 0.2336 0.1028 0.9017
C 0.0869 0.3088 0.0217
O 0.3285 0.6977 0.2366
C 0.3189 0.9901 0.8523
O 0.0376 0.3752 0.8598
O 0.8241 0.9270 0.3458
C 0.3070 0.4749 0.9877
C 0.7693 0.4165 0.2260
C 0.4131 0.3088 0.5217
Fe 0.6780 0.5927 0.1669
C 0.7307 0.4165 0.7260
Fe 0.2664 0.1028 0.4017
O 0.6759 0.9270 0.8458
O 0.1554 0.5958 0.4904
C 0.7063 0.8454 0.9114
C 0.2693 0.5835 0.2740
C 0.0377 0.5298 0.3300
Fe 0.7537 0.7121 0.0124
Fe 0.7336 0.8972 0.5983
Se 0.5708 0.8057 0.0627
C 0.5377 0.4702 0.1700
O 0.6554 0.4042 0.0096
O 0.3721 0.3176 0.6924
O 0.8285 0.3023 0.2634
C 0.2307 0.5835 0.7740
C 0.8189 0.0099 0.6477
C 0.6471 0.6506 0.2510
O 0.9624 0.6248 0.1402
Fe 0.7463 0.7121 0.5124
Se 0.0708 0.1943 0.4373
C 0.1930 0.4749 0.4877
O 0.3717 0.9106 0.8234
C 0.3529 0.3494 0.7490
Fe 0.2537 0.2879 0.4876
C 0.8539 0.6719 0.1193
O 0.4471 0.3909 0.1743
C 0.9170 0.9307 0.1392
Se 0.9292 0.8057 0.5627
O 0.6715 0.3023 0.7634
O 0.1283 0.9106 0.3234
O 0.8446 0.4042 0.5096

Output
As for the space-group type: No. 14. The value obtained for the total moment is 0.007 Bohr magnetons per cell. The value obtained for the energy is -7.08 eV/atom.

=====

(2)
Compound: FeH12N3F6
Source: the Materials Project
Functional: PBE+U
Structure: optimized geometry

a = 9.1352 Å, b = 9.1403 Å, c = 9.1499 Å
α = 90.00°, β = 90.00°, γ = 90.00°
Fractional coordinates of all 88 atoms:
H 0.0706 0.4289 0.9469
N 0.2505 0.2494 0.2494
H 0.9282 0.4324 0.5555
H 0.4483 0.9306 0.0736
H 0.4282 0.0676 0.4445
H 0.5517 0.4306 0.4264
********
198 resp = httplib.HTTPResponse(sock, method="GET")
199 resp.begin()
200 self.assertEquals(, 'Hello\r\n')
201 resp.close()
203 def test_incomplete_read(self):
204 sock = FakeSocket('HTTP/1.1 200 OK\r\nContent-Length: 10\r\n\r\nHello\r\n')
205 resp = httplib.HTTPResponse(sock, method="GET")
206 resp.begin()
207 try:
209 except httplib.IncompleteRead as i:
210 self.assertEquals(i.partial, 'Hello\r\n')
211 self.assertEqual(repr(i),
212 "IncompleteRead(7 bytes read, 3 more expected)")
213 self.assertEqual(str(i),
214 "IncompleteRead(7 bytes read, 3 more expected)")
215 else:
216'IncompleteRead expected')
217 finally:
218 resp.close()
221 class OfflineTest(TestCase):
222 def test_responses(self):
223 self.assertEquals(httplib.responses[httplib.NOT_FOUND], "Not Found")
225 class TimeoutTest(TestCase):
226 PORT = None
228 def setUp(self):
229 self.serv = socket.socket(socket.AF_INET, socket.SOCK_STREAM)
230 TimeoutTest.PORT = test_support.bind_port(self.serv)
231 self.serv.listen(5)
233 def tearDown(self):
234 self.serv.close()
235 self.serv = None
237 def testTimeoutAttribute(self):
238 '''This will prove that the timeout gets through
239 HTTPConnection and into the socket.
241 # default -- use global socket timeout
242 self.assertTrue(socket.getdefaulttimeout() is None)
243 socket.setdefaulttimeout(30)
244 try:
245 httpConn = httplib.HTTPConnection(HOST, TimeoutTest.PORT)
246 httpConn.connect()
247 finally:
248 socket.setdefaulttimeout(None)
249 self.assertEqual(httpConn.sock.gettimeout(), 30)
250 httpConn.close()
252 # no timeout -- do not use global socket default
253 self.assertTrue(socket.getdefaulttimeout() is None)
254 socket.setdefaulttimeout(30)
255 try:
256 httpConn = httplib.HTTPConnection(HOST, TimeoutTest.PORT,
257 timeout=None)
258 httpConn.connect()
259 finally:
260 socket.setdefaulttimeout(None)
261 self.assertEqual(httpConn.sock.gettimeout(), None)
262 httpConn.close()
264 # a value
265 httpConn = httplib.HTTPConnection(HOST, TimeoutTest.PORT, timeout=30)
266 httpConn.connect()
267 self.assertEqual(httpConn.sock.gettimeout(), 30)
268 httpConn.close()
271 class HTTPSTimeoutTest(TestCase):
272 # XXX Here should be tests for HTTPS, there isn't any right now!
274 def test_attributes(self):
275 # simple test to check it's storing it
276 if hasattr(httplib, 'HTTPSConnection'):
277 h = httplib.HTTPSConnection(HOST, TimeoutTest.PORT, timeout=30)
278 self.assertEqual(h.timeout, 30)
280 def test_main(verbose=None):
281 test_support.run_unittest(HeaderTests, OfflineTest, BasicTest, TimeoutTest,
282 HTTPSTimeoutTest)
284 if __name__ == '__main__':
285 test_main()